What is on the ballot?

Fiscal accountability is on the ballot:

The $5.1 billion surplus last fiscal year in Virginia was a sign of both prudent fiscal management and critical federal assistance. Gov. Glenn Youngkin (R), with pressure from Democrats in the Virginia Senate, wisely decided to allocate $3.7 billion in new spending and to cut taxes by $1.05 billion. This 3-to-1 spending-to-tax cut ratio demonstrates a commitment to investing in our future. The surplus in the first quarter of the new fiscal year shows that Virginia is thriving economically. The upcoming election will determine whether this responsible approach to managing any excess funds continues, with Democrats prioritizing wise and prudent investments for the Commonwealth.

Data records, as found in the file >
____________
Computed, not measured: a structure of composition C22H14Cl4N12OSV, with ωB97M-V/def2-TZVPD.

The geometry in XYZ format:
```
55
Properties=species:S:1:pos:R:3:forces:R:3
C -2.58493 -3.75126 2.21288 -0.07 -0.04 -0.04
H 4.63938 1.98241 3.99302 0.00 0.00 0.00
N -3.43261 2.89590 0.04083 -0.06 -0.07 0.00
C -2.92601 -2.20890 -1.64746 -0.04 -0.03 -0.01
C -0.86879 -1.74121 1.23099 -0.05 -0.01 -0.01
S 0.95569 1.57357 -1.65065 -0.01 -0.04 0.13
C 2.57701 2.56530 4.25433 0.00 0.02 0.02
C -3.81347 -3.21839 -1.26615 0.01 0.05 -0.10
H 1.95056 3.32650 6.02181 0.00 0.01 0.00
O -0.12727 -0.84469 0.69236 0.06 0.11 0.28
C 1.31875 2.49868 3.67033 -0.05 -0.01 0.00
H 5.26842 -0.93341 -4.37450 0.00 0.00 0.00
C -0.73526 -2.24776 2.52658 -0.03 -0.07 -0.03
H -4.46575 -4.54070 0.29340 0.01 0.00 0.01
N -2.98637 2.19896 -2.18453 0.03 0.04 -0.01
N 2.16990 1.22543 1.83026 0.16 0.00 -0.01
H -1.46499 -3.60443 4.01591 0.01 0.01 0.00
C 3.37490 -1.21652 -3.39664 0.01 -0.01 0.00
N -2.95619 2.51489 1.24152 0.09 0.07 0.00
C -2.59018 1.24712 -3.09345 0.02 0.04 0.00
Cl 1.03380 -1.63718 -2.18606 -0.11 0.14 0.04
C 2.26683 0.78338 -2.46947 0.00 -0.01 0.01
C -1.92395 -2.28521 0.43055 0.06 0.05 0.11
N -1.99185 -1.72393 -0.82136 -0.15 -0.11 0.17
N -1.94711 1.28887 -0.21274 0.01 0.02 0.00
N -1.72737 0.26381 -2.84837 0.08 0.05 0.01
C 3.38830 1.49338 -2.94834 0.00 0.01 0.00
C -3.77223 -3.76931 -0.01042 -0.01 -0.03 0.04
H 5.26420 1.52591 -3.95087 0.00 0.00 0.00
N 2.78416 3.26245 5.45726 0.00 -0.02 -0.01
H 3.33308 -2.28608 -3.55672 0.00 0.00 0.00
N -3.01840 1.22748 -4.34676 -0.14 -0.13 0.05
V -0.64176 -0.15942 -1.07991 0.17 0.04 -0.67
C 3.37035 1.30769 2.38809 -0.05 0.04 0.08
H 4.18050 0.82107 1.85157 0.00 0.01 0.00
C 4.44713 -0.46412 -3.84868 -0.01 0.01 0.01
H 0.18047 1.72681 2.01695 0.00 -0.01 -0.01
H -4.54715 -3.55359 -1.98900 0.00 0.01 0.00
C 2.33604 -0.59568 -2.73172 -0.02 0.01 0.02
H 0.45878 2.95737 4.14467 -0.01 0.00 0.00
Cl -3.62786 -5.00856 2.86382 0.02 0.02 0.00
N -1.61509 -0.39604 -4.03071 -0.16 -0.15 0.08
C 4.44560 0.90283 -3.61569 0.01 -0.01 -0.01
H -3.73414 2.80038 -2.48070 0.00 -0.01 0.00
Cl 0.52584 -1.63279 3.55370 0.01 0.01 0.02
C -2.79044 2.11666 -0.81651 0.00 0.02 -0.03
C 1.16259 1.81744 2.47200 0.00 -0.10 -0.09
H 3.55542 2.90144 5.99768 0.00 0.00 0.00
N -2.39117 0.16136 -4.88999 0.19 0.17 -0.08
N -2.08078 1.57626 1.10362 -0.06 -0.07 0.01
Cl 3.48085 3.21826 -2.70272 -0.01 -0.01 0.00
C 3.63366 1.95419 3.58744 0.01 -0.01 0.00
C -2.78871 -3.29844 0.88995 0.03 -0.01 0.01
C -1.59164 -3.23798 3.00603 0.06 0.02 0.02
H -2.96073 -1.78019 -2.63743 -0.02 -0.01 0.00
```
Positions in Å, forces in eV/Å.

Results
⟨S²⟩   0.908
Spin multiplicity   2
Kohn-Sham gap (alpha / beta)   4.49 / 5.31 eV
HOMO (alpha / beta)   -0.258 / -1.092 eV
Energy relative to the best compared isomer or geometry (same formula, charge and spin)   0.0 kJ/mol
Net charge   -2

* * * * *
____________

Investment in the labor force is on the ballot:

Approximately 40% of Virginians now live in areas that have approved collective bargaining for public employees. This decision empowers workers and ensures they have a voice in their workplaces. It does not divert public funds but rather supports the rights of employees to negotiate for fair wages. In areas like Fairfax, Loudoun, Alexandria, and Portsmouth, the cost is a worthwhile investment in workers' well-being. This important trend promotes higher wages, improved working conditions, and a stronger, more inclusive labor movement. Governor Youngkin's opposition to collective bargaining puts the rights of workers at risk.

Your right to drive an electric vehicle is on the ballot:

Virginia's mandate that electric vehicles (EVs) must make up a significant percentage of automakers' sales within a few years is a forward-thinking approach. While EVs have the benefit of federal tax incentives, more importantly, they are a step toward environmental sustainability and reduced reliance on environmentally harmful fossil fuels. Governor Youngkin's efforts to repeal this mandate hinder progress toward cleaner and more sustainable transportation options.

Abortion access is on the ballot:

Virginia is the last southern state without severe restrictions on abortion. Should Republicans take control of the House of Delegates, we can expect that they will pass an arbitrary 15-week or less abortion ban. Governor Youngkin has stated that he would “gleefully” sign any such legislation that comes across his desk. In fact, he issued a press release last week comparing Virginians’ rights to seek abortion care with the ability to purchase a gasoline-powered vehicle. Virginians need the freedom to make their own informed healthcare decisions.

Reliable, affordable, clean energy is on the ballot:

The Virginia Clean Energy Act sets important targets for renewable energy, fostering a more sustainable future. The transition to renewable energy creates jobs and mitigates the harmful effects of carbon emissions. Governor Youngkin's efforts to repeal the act are regressive and risk further environmental degradation.

The future of public education is on the ballot:

Virginia's education system faces significant challenges, with reports of learning loss and disparities among students. The gap in academic performance, especially among minority students, is a critical issue. Parents have valid concerns about what their children are taught, school safety, and transparency in decision-making. But Governor Youngkin's pledges to “defend parents' rights” and support school vouchers do not address these challenges effectively or fairly. Focusing on increasing funding for public schools, expanding early childhood education, and promoting equity and inclusion, offers a more comprehensive solution to these pressing issues.

The results of this election will determine the direction Virginia takes on many crucial issues, including responsible fiscal management, expanding workers' rights, sustainable transportation, abortion access, energy policy, and excellence in education. The choice between Governor Youngkin's MAGA-like approach, which hinders economic progress for all, and the progressive vision of Democrats running for the General Assembly will shape the future of Virginia. Your vote is important!